# Assignment
What is needed: copy the whole of the notes further below with every line break kept.
# Excerpt
~~~
ORCA calculation (wB97M-V/def2-TZVPD) on a gas-phase ion, C3H9N3P (charge +1).

```
16
Properties=species:S:1:pos:R:3:mulliken_charge:R:1
C -1.7378 1.2357 0.0604 -0.9346
N -0.4413 0.7116 0.2172 -0.1149
C 0.0027 -0.5337 0.1505 0.9345
C -1.0862 -1.5267 -0.1864 -1.3134
N 1.2507 -0.8743 0.3582 -0.3668
P 2.6840 -0.2956 0.2043 0.4039
N 2.8685 1.1747 -0.2073 -0.4790
H -2.1364 1.0605 1.0317 0.4278
H -1.8799 2.3195 -0.2112 0.3047
H -2.4332 0.4900 -0.5381 0.2715
H 0.1332 1.5333 0.1647 0.2910
H -2.0197 -1.4611 0.5344 0.3480
H -0.6093 -2.4403 0.0107 0.3315
H -1.5245 -1.4538 -1.1429 0.3965
H 3.3108 -1.5640 0.2305 0.2194
H 3.6186 1.6244 -0.6767 0.2797
```

Kohn-Sham gap (alpha / beta)	0.3347 / 0.3347	hartree
HOMO (alpha / beta)	-14.338 / -14.337	eV
calculated total energy	-17007.313	eV
structure (SMILES)	CN/C(C)=N\[PH]#[NH+]
charge	+1

ORCA calculation (wB97M-V/def2-TZVPD) on a gas-phase ion, C3H9N4 (charge +1).

```
16
Properties=species:S:1:pos:R:3:mulliken_charge:R:1
N 2.1609 0.6974 -0.1420 -0.4540
C 1.3311 -0.4035 -0.3171 -0.4449
N 0.0238 -0.3086 0.4519 -0.1837
C -1.0774 -1.2802 0.0171 -0.2934
N -2.2105 -0.4133 -0.2730 -0.3869
C -1.9576 0.8069 -0.1341 -0.0529
N -0.6988 1.2642 0.2145 -0.3050
H 2.7788 0.7038 0.6870 0.2832
H 1.7166 1.6129 -0.2592 0.2035
H 1.7565 -1.2993 0.1192 0.4422
H 1.1630 -0.8730 -1.2452 0.3313
H 0.0668 -0.3248 1.5207 0.4492
H -1.4125 -1.7613 0.8934 0.3364
H -0.7956 -1.7805 -0.8627 0.3445
H -2.7664 1.4301 -0.4142 0.4588
H -0.0786 1.9292 -0.2563 0.2718
```

Kohn-Sham gap	0.3725	hartree
HOMO	-14.596	eV
calculated total energy	-9207.377	eV
structure (SMILES)	NC[N@@H+]1CN=CN1
charge	+1

ORCA calculation (wB97M-V/def2-TZVPD) on a gas-phase ion, C3H9N4 (charge +1).

```
16
Properties=species:S:1:pos:R:3:mulliken_charge:R:1
C -2.0278 0.3105 -0.5151 -0.8917
N -1.1026 -0.0277 0.5460 -0.1727
C 0.1520 0.7967 0.6794 -0.5177
C 1.2948 0.0021 0.0040 0.5688
N 2.4500 0.5572 -0.1988 -0.3611
N 0.9902 -1.2593 -0.1763 -0.7185
N -0.3463 -1.4787 0.1310 0.0647
H -1.5835 0.3187 -1.5418 0.3555
H -2.7141 -0.4625 -0.4093 0.3853
H -2.6560 1.1876 -0.4211 0.3438
H 0.4519 0.9973 1.6570 0.3863
H 0.2042 1.7886 0.1047 0.3171
H 2.8634 1.4431 -0.0967 0.2182
H 3.2319 -0.1195 -0.1674 0.2906
H -0.8440 -1.9869 -0.6136 0.3745
H -0.3642 -2.0673 1.0181 0.3570
```

Kohn-Sham gap	0.4124	hartree
HOMO	-14.430	eV
calculated total energy	-9207.914	eV
structure (SMILES)	CN1CC(N)=N[NH2+]1
charge	+1

ORCA calculation (wB97M-V/def2-TZVPD) on 2 unconnected molecules or ions with the total composition C3H9N4.

```
16
Properties=species:S:1:pos:R:3:mulliken_charge:R:1
C -1.8384 0.0319 -0.7332 0.6091
C -0.1211 1.4199 -0.1805 -0.4152
C 0.0548 0.4348 0.9413 0.0158
N -1.2490 1.0476 -1.0211 -0.2952
N -0.7484 -0.5280 0.9791 -0.4328
N -2.6753 -0.8857 -1.0122 -0.3624
N 2.7498 -0.7945 -0.2303 -0.7570
H -0.2458 2.3952 0.4223 0.3243
H 0.7590 1.4549 -0.7433 0.3235
H 0.7860 0.7861 1.7021 0.4077
H -0.9857 -1.1204 1.7442 0.2635
H -3.5161 -0.8625 -1.5983 0.2791
H -2.5885 -1.7119 -0.4385 0.2607
H 3.2657 -0.1913 -0.8927 0.2574
H 3.0887 -1.7358 -0.5697 0.2718
H 3.3907 -0.5879 0.5355 0.2497
```

Kohn-Sham gap	0.3791	hartree
HOMO	-14.262	eV
calculated total energy	-9208.960	eV
charge	+1

ORCA calculation (wB97M-V/def2-TZVPD) on a gas-phase ion, C3H9N4 (charge +1).

```
16
Properties=species:S:1:pos:R:3:mulliken_charge:R:1
C -0.6484 -0.6195 -0.3548 0.7004
C -1.4763 0.1541 0.6840 -0.7246
C 1.6438 -0.5075 -1.2431 -0.8346
N -1.2710 -1.5306 -1.0100 -0.5289
N -0.7460 1.3354 1.0325 -0.0809
N 0.6692 -0.3938 -0.2744 -0.1821
N 0.5599 1.0812 1.2655 -0.1988
H -2.5399 0.3869 0.4846 0.3803
H -1.7386 -0.4375 1.6771 0.2370
H 1.5127 -1.3924 -1.7954 0.3281
H 1.5522 0.2933 -1.8892 0.3784
H 2.5303 -0.4665 -0.7172 0.3162
H -0.7888 -2.1806 -1.5844 0.2548
H -0.9819 2.1120 0.3779 0.3332
H 1.1682 1.8737 1.4468 0.2977
H 0.5547 0.2918 1.9000 0.3239
```

Kohn-Sham gap (alpha / beta)	0.2895 / 0.2741	hartree
HOMO (alpha / beta)	-13.941 / -13.414	eV
calculated total energy	-9205.586	eV
charge	+1
~~~
# Result
ORCA calculation (wB97M-V/def2-TZVPD) on a gas-phase ion, C3H9N3P (charge +1).

```
16
Properties=species:S:1:pos:R:3:mulliken_charge:R:1
C -1.7378 1.2357 0.0604 -0.9346
N -0.4413 0.7116 0.2172 -0.1149
C 0.0027 -0.5337 0.1505 0.9345
C -1.0862 -1.5267 -0.1864 -1.3134
N 1.2507 -0.8743 0.3582 -0.3668
P 2.6840 -0.2956 0.2043 0.4039
N 2.8685 1.1747 -0.2073 -0.4790
H -2.1364 1.0605 1.0317 0.4278
H -1.8799 2.3195 -0.2112 0.3047
H -2.4332 0.4900 -0.5381 0.2715
H 0.1332 1.5333 0.1647 0.2910
H -2.0197 -1.4611 0.5344 0.3480
H -0.6093 -2.4403 0.0107 0.3315
H -1.5245 -1.4538 -1.1429 0.3965
H 3.3108 -1.5640 0.2305 0.2194
H 3.6186 1.6244 -0.6767 0.2797
```

Kohn-Sham gap (alpha / beta)	0.3347 / 0.3347	hartree
HOMO (alpha / beta)	-14.338 / -14.337	eV
calculated total energy	-17007.313	eV
structure (SMILES)	CN/C(C)=N\[PH]#[NH+]
charge	+1

ORCA calculation (wB97M-V/def2-TZVPD) on a gas-phase ion, C3H9N4 (charge +1).

```
16
Properties=species:S:1:pos:R:3:mulliken_charge:R:1
N 2.1609 0.6974 -0.1420 -0.4540
C 1.3311 -0.4035 -0.3171 -0.4449
N 0.0238 -0.3086 0.4519 -0.1837
C -1.0774 -1.2802 0.0171 -0.2934
N -2.2105 -0.4133 -0.2730 -0.3869
C -1.9576 0.8069 -0.1341 -0.0529
N -0.6988 1.2642 0.2145 -0.3050
H 2.7788 0.7038 0.6870 0.2832
H 1.7166 1.6129 -0.2592 0.2035
H 1.7565 -1.2993 0.1192 0.4422
H 1.1630 -0.8730 -1.2452 0.3313
H 0.0668 -0.3248 1.5207 0.4492
H -1.4125 -1.7613 0.8934 0.3364
H -0.7956 -1.7805 -0.8627 0.3445
H -2.7664 1.4301 -0.4142 0.4588
H -0.0786 1.9292 -0.2563 0.2718
```

Kohn-Sham gap	0.3725	hartree
HOMO	-14.596	eV
calculated total energy	-9207.377	eV
structure (SMILES)	NC[N@@H+]1CN=CN1
charge	+1

ORCA calculation (wB97M-V/def2-TZVPD) on a gas-phase ion, C3H9N4 (charge +1).

```
16
Properties=species:S:1:pos:R:3:mulliken_charge:R:1
C -2.0278 0.3105 -0.5151 -0.8917
N -1.1026 -0.0277 0.5460 -0.1727
C 0.1520 0.7967 0.6794 -0.5177
C 1.2948 0.0021 0.0040 0.5688
N 2.4500 0.5572 -0.1988 -0.3611
N 0.9902 -1.2593 -0.1763 -0.7185
N -0.3463 -1.4787 0.1310 0.0647
H -1.5835 0.3187 -1.5418 0.3555
H -2.7141 -0.4625 -0.4093 0.3853
H -2.6560 1.1876 -0.4211 0.3438
H 0.4519 0.9973 1.6570 0.3863
H 0.2042 1.7886 0.1047 0.3171
H 2.8634 1.4431 -0.0967 0.2182
H 3.2319 -0.1195 -0.1674 0.2906
H -0.8440 -1.9869 -0.6136 0.3745
H -0.3642 -2.0673 1.0181 0.3570
```

Kohn-Sham gap	0.4124	hartree
HOMO	-14.430	eV
calculated total energy	-9207.914	eV
structure (SMILES)	CN1CC(N)=N[NH2+]1
charge	+1

ORCA calculation (wB97M-V/def2-TZVPD) on 2 unconnected molecules or ions with the total composition C3H9N4.

```
16
Properties=species:S:1:pos:R:3:mulliken_charge:R:1
C -1.8384 0.0319 -0.7332 0.6091
C -0.1211 1.4199 -0.1805 -0.4152
C 0.0548 0.4348 0.9413 0.0158
N -1.2490 1.0476 -1.0211 -0.2952
N -0.7484 -0.5280 0.9791 -0.4328
N -2.6753 -0.8857 -1.0122 -0.3624
N 2.7498 -0.7945 -0.2303 -0.7570
H -0.2458 2.3952 0.4223 0.3243
H 0.7590 1.4549 -0.7433 0.3235
H 0.7860 0.7861 1.7021 0.4077
H -0.9857 -1.1204 1.7442 0.2635
H -3.5161 -0.8625 -1.5983 0.2791
H -2.5885 -1.7119 -0.4385 0.2607
H 3.2657 -0.1913 -0.8927 0.2574
H 3.0887 -1.7358 -0.5697 0.2718
H 3.3907 -0.5879 0.5355 0.2497
```

Kohn-Sham gap	0.3791	hartree
HOMO	-14.262	eV
calculated total energy	-9208.960	eV
charge	+1

ORCA calculation (wB97M-V/def2-TZVPD) on a gas-phase ion, C3H9N4 (charge +1).

```
16
Properties=species:S:1:pos:R:3:mulliken_charge:R:1
C -0.6484 -0.6195 -0.3548 0.7004
C -1.4763 0.1541 0.6840 -0.7246
C 1.6438 -0.5075 -1.2431 -0.8346
N -1.2710 -1.5306 -1.0100 -0.5289
N -0.7460 1.3354 1.0325 -0.0809
N 0.6692 -0.3938 -0.2744 -0.1821
N 0.5599 1.0812 1.2655 -0.1988
H -2.5399 0.3869 0.4846 0.3803
H -1.7386 -0.4375 1.6771 0.2370
H 1.5127 -1.3924 -1.7954 0.3281
H 1.5522 0.2933 -1.8892 0.3784
H 2.5303 -0.4665 -0.7172 0.3162
H -0.7888 -2.1806 -1.5844 0.2548
H -0.9819 2.1120 0.3779 0.3332
H 1.1682 1.8737 1.4468 0.2977
H 0.5547 0.2918 1.9000 0.3239
```

Kohn-Sham gap (alpha / beta)	0.2895 / 0.2741	hartree
HOMO (alpha / beta)	-13.941 / -13.414	eV
calculated total energy	-9205.586	eV
charge	+1